Entry 1:
# Li2PrSnPd
Computed powder X-ray diffraction pattern, Cu Kα (λ = 1.5418 Å). Input: a DFT-relaxed cell (GGA-PBE, Alexandria).
Kinematic intensities with the Lorentz-polarization factor, no thermal factor.

Crystal structure
```
data_Li2PrSnPd
_space_group_name_H-M_alt 'I m m 2'
_space_group_IT_number 44
_cell_length_a 3.829
_cell_length_b 4.482
_cell_length_c 12.383
_cell_angle_alpha 90.00
_cell_angle_beta 90.00
_cell_angle_gamma 90.00
loop_
_space_group_symop_operation_xyz
'x,y,z'
'-x,-y,z'
'-x,y,z'
'x,-y,z'
'x+1/2,y+1/2,z+1/2'
'-x+1/2,-y+1/2,z+1/2'
'-x+1/2,y+1/2,z+1/2'
'x+1/2,-y+1/2,z+1/2'
loop_
_atom_site_label
_atom_site_type_symbol
_atom_site_fract_x
_atom_site_fract_y
_atom_site_fract_z
Li1 Li 0.000 0.000 0.000
Li2 Li 0.000 0.500 0.346
Pr1 Pr 0.000 0.500 0.720
Sn1 Sn 0.000 0.000 0.475
Pd1 Pd 0.000 0.500 0.138
```

Largest 6 diffraction maxima, in order of rising 2θ, 2θ = 10–80°:
d_spacing	I/Imax	index
6.191	28	0 0 2
4.215	43	0 1 1
2.807	36	1 0 3
2.635	100	1 1 2
2.241	21	0 2 0
2.168	21	0 1 5

=====

Entry 2:
# Li2Pr2TlPd5
Computed powder X-ray diffraction pattern, Cu Kα (λ = 1.5418 Å). Input: a DFT-relaxed cell (GGA-PBE, Alexandria).
Kinematic intensities with the Lorentz-polarization factor, no thermal factor.

Crystal structure
```
data_Li2Pr2TlPd5
_space_group_name_H-M_alt 'P 4/m b m'
_space_group_IT_number 127
_space_group_name_Hall '-P 4 2ab'
_cell_length_a 9.735
_cell_length_b 9.735
_cell_length_c 3.890
_cell_angle_alpha 90.00
_cell_angle_beta 90.00
_cell_angle_gamma 90.00
loop_
_atom_site_label
_atom_site_type_symbol
_atom_site_fract_x
_atom_site_fract_y
_atom_site_fract_z
Li1 Li 0.117 0.383 0.000
Pr1 Pr 0.180 0.680 0.000
Tl1 Tl 0.000 0.000 0.000
Pd1 Pd 0.000 0.500 0.500
Pd2 Pd 0.068 0.214 0.500
```

Largest 6 diffraction maxima, in order of rising 2θ, 2θ = 10–80°:
d_spacing	I/Imax	index
2.901	56	2 1 1
2.578	45	2 2 1
2.414	100	3 1 1
2.361	46	4 1 0
2.177	26	4 2 0
1.945	25	0 0 2

=====

Entry 3:
# LiPd2Pt8
Computed powder X-ray diffraction pattern, Cu Kα (λ = 1.5418 Å). Input: a DFT-relaxed cell (GGA-PBE, Alexandria).
Kinematic intensities with the Lorentz-polarization factor, no thermal factor.

Crystal structure
```
data_LiPd2Pt8
_space_group_name_H-M_alt 'I m m m'
_space_group_IT_number 71
_space_group_name_Hall '-I 2 2'
_cell_length_a 3.848
_cell_length_b 7.827
_cell_length_c 11.668
_cell_angle_alpha 90.00
_cell_angle_beta 90.00
_cell_angle_gamma 90.00
loop_
_atom_site_label
_atom_site_type_symbol
_atom_site_fract_x
_atom_site_fract_y
_atom_site_fract_z
Li1 Li 0.000 0.000 0.000
Pd1 Pd 0.000 0.000 0.348
Pt1 Pt 0.000 0.249 0.165
Pt2 Pt 0.000 0.256 0.500
Pt3 Pt 0.000 0.500 0.336
```

Largest 6 diffraction maxima, in order of rising 2θ, 2θ = 10–80°:
d_spacing	I/Imax	index
2.242	100	1 2 3
1.957	17	0 4 0
1.945	16	0 0 6
1.924	16	2 0 0
1.379	10	0 4 6
1.372	11	2 4 0

=====

Entry 4:
# Li7PdPt3
Computed powder X-ray diffraction pattern, Cu Kα (λ = 1.5418 Å). Input: a DFT-relaxed cell (GGA-PBE, Alexandria).
Kinematic intensities with the Lorentz-polarization factor, no thermal factor.

Crystal structure
```
data_Li7PdPt3
_space_group_name_H-M_alt 'C m c m'
_space_group_IT_number 63
_space_group_name_Hall '-C 2c 2'
_cell_length_a 2.711
_cell_length_b 20.866
_cell_length_c 11.949
_cell_angle_alpha 90.00
_cell_angle_beta 90.00
_cell_angle_gamma 90.00
loop_
_atom_site_label
_atom_site_type_symbol
_atom_site_fract_x
_atom_site_fract_y
_atom_site_fract_z
Li1 Li 0.000 0.056 0.133
Li2 Li 0.000 0.097 0.604
Li3 Li 0.000 0.191 0.250
Li4 Li 0.000 0.223 0.591
Pd1 Pd 0.000 0.472 0.250
Pt1 Pt 0.000 0.330 0.250
Pt2 Pt 0.000 0.345 0.562
```

Largest 6 diffraction maxima, in order of rising 2θ, 2θ = 10–80°:
d_spacing	I/Imax	index
5.216	32	0 4 0
3.721	100	0 2 3
3.478	52	0 6 0
2.229	48	1 1 3
2.182	36	0 8 3
1.975	31	1 5 3

=====

Entry 5:
# Li2Pd5Pt2
Computed powder X-ray diffraction pattern, Cu Kα (λ = 1.5418 Å). Input: a DFT-relaxed cell (GGA-PBE, Alexandria).
Could you find the line earlier on that holds "'-x,y,z'", then duplicate that line and all lines after it there?
'-x,y,z'
'x,-y,z'
'x+1/2,y+1/2,z+1/2'
'-x+1/2,-y+1/2,z+1/2'
'-x+1/2,y+1/2,z+1/2'
'x+1/2,-y+1/2,z+1/2'
loop_
_atom_site_label
_atom_site_type_symbol
_atom_site_fract_x
_atom_site_fract_y
_atom_site_fract_z
Li1 Li 0.000 0.000 0.000
Li2 Li 0.000 0.500 0.346
Pr1 Pr 0.000 0.500 0.720
Sn1 Sn 0.000 0.000 0.475
Pd1 Pd 0.000 0.500 0.138
```

Largest 6 diffraction maxima, in order of rising 2θ, 2θ = 10–80°:
d_spacing	I/Imax	index
6.191	28	0 0 2
4.215	43	0 1 1
2.807	36	1 0 3
2.635	100	1 1 2
2.241	21	0 2 0
2.168	21	0 1 5

=====

Entry 2:
# Li2Pr2TlPd5
Computed powder X-ray diffraction pattern, Cu Kα (λ = 1.5418 Å). Input: a DFT-relaxed cell (GGA-PBE, Alexandria).
Kinematic intensities with the Lorentz-polarization factor, no thermal factor.

Crystal structure
```
data_Li2Pr2TlPd5
_space_group_name_H-M_alt 'P 4/m b m'
_space_group_IT_number 127
_space_group_name_Hall '-P 4 2ab'
_cell_length_a 9.735
_cell_length_b 9.735
_cell_length_c 3.890
_cell_angle_alpha 90.00
_cell_angle_beta 90.00
_cell_angle_gamma 90.00
loop_
_atom_site_label
_atom_site_type_symbol
_atom_site_fract_x
_atom_site_fract_y
_atom_site_fract_z
Li1 Li 0.117 0.383 0.000
Pr1 Pr 0.180 0.680 0.000
Tl1 Tl 0.000 0.000 0.000
Pd1 Pd 0.000 0.500 0.500
Pd2 Pd 0.068 0.214 0.500
```

Largest 6 diffraction maxima, in order of rising 2θ, 2θ = 10–80°:
d_spacing	I/Imax	index
2.901	56	2 1 1
2.578	45	2 2 1
2.414	100	3 1 1
2.361	46	4 1 0
2.177	26	4 2 0
1.945	25	0 0 2

=====

Entry 3:
# LiPd2Pt8
Computed powder X-ray diffraction pattern, Cu Kα (λ = 1.5418 Å). Input: a DFT-relaxed cell (GGA-PBE, Alexandria).
Kinematic intensities with the Lorentz-polarization factor, no thermal factor.

Crystal structure
```
data_LiPd2Pt8
_space_group_name_H-M_alt 'I m m m'
_space_group_IT_number 71
_space_group_name_Hall '-I 2 2'
_cell_length_a 3.848
_cell_length_b 7.827
_cell_length_c 11.668
_cell_angle_alpha 90.00
_cell_angle_beta 90.00
_cell_angle_gamma 90.00
loop_
_atom_site_label
_atom_site_type_symbol
_atom_site_fract_x
_atom_site_fract_y
_atom_site_fract_z
Li1 Li 0.000 0.000 0.000
Pd1 Pd 0.000 0.000 0.348
Pt1 Pt 0.000 0.249 0.165
Pt2 Pt 0.000 0.256 0.500
Pt3 Pt 0.000 0.500 0.336
```

Largest 6 diffraction maxima, in order of rising 2θ, 2θ = 10–80°:
d_spacing	I/Imax	index
2.242	100	1 2 3
1.957	17	0 4 0
1.945	16	0 0 6
1.924	16	2 0 0
1.379	10	0 4 6
1.372	11	2 4 0

=====

Entry 4:
# Li7PdPt3
Computed powder X-ray diffraction pattern, Cu Kα (λ = 1.5418 Å). Input: a DFT-relaxed cell (GGA-PBE, Alexandria).
Kinematic intensities with the Lorentz-polarization factor, no thermal factor.

Crystal structure
```
data_Li7PdPt3
_space_group_name_H-M_alt 'C m c m'
_space_group_IT_number 63
_space_group_name_Hall '-C 2c 2'
_cell_length_a 2.711
_cell_length_b 20.866
_cell_length_c 11.949
_cell_angle_alpha 90.00
_cell_angle_beta 90.00
_cell_angle_gamma 90.00
loop_
_atom_site_label
_atom_site_type_symbol
_atom_site_fract_x
_atom_site_fract_y
_atom_site_fract_z
Li1 Li 0.000 0.056 0.133
Li2 Li 0.000 0.097 0.604
Li3 Li 0.000 0.191 0.250
Li4 Li 0.000 0.223 0.591
Pd1 Pd 0.000 0.472 0.250
Pt1 Pt 0.000 0.330 0.250
Pt2 Pt 0.000 0.345 0.562
```

Largest 6 diffraction maxima, in order of rising 2θ, 2θ = 10–80°:
d_spacing	I/Imax	index
5.216	32	0 4 0
3.721	100	0 2 3
3.478	52	0 6 0
2.229	48	1 1 3
2.182	36	0 8 3
1.975	31	1 5 3

=====

Entry 5:
# Li2Pd5Pt2
Computed powder X-ray diffraction pattern, Cu Kα (λ = 1.5418 Å). Input: a DFT-relaxed cell (GGA-PBE, Alexandria).